[Given]
-- begin --
Entry 1:
VASP calculation (PBE) on a geometry-optimized LiScAs2 structure.

Computed properties:
- Symmetry: No. 123

abc: 4.937 4.937 2.988
angles: 90.00 90.00 90.00
Positions (direct):
Li  0.000  0.000  0.000
Sc  0.500  0.500  0.000
As  0.000  0.500  0.500
As  0.500  0.000  0.500

Entry 2:
VASP calculation (PBE) on a geometry-optimized Li2ScAs structure.

Computed properties:
- Symmetry: No. 166

abc: 9.639 9.639 9.639
angles: 18.53 18.53 18.53
Positions (direct):
Li  0.235  0.235  0.235
Li  0.765  0.765  0.765
Sc  0.000  0.000  0.000
As  0.500  0.500  0.500

Entry 3:
VASP calculation (PBE) on a geometry-optimized LiSc3As structure.

Computed properties:
- Symmetry: No. 221

abc: 5.130 5.130 5.130
angles: 90.00 90.00 90.00
Positions (direct):
Li  0.000  0.000  0.000
Sc  0.000  0.500  0.500
Sc  0.500  0.000  0.500
Sc  0.500  0.500  0.000
As  0.500  0.500  0.500

Entry 4:
VASP calculation (PBE) on a geometry-optimized LiScAs2 structure.

Computed properties:
- Symmetry: No. 122

abc: 5.829 5.829 5.829
angles: 104.25 104.25 120.52
Positions (direct):
Li  0.000  0.000  0.000
Li  0.750  0.250  0.500
Sc  0.250  0.750  0.500
Sc  0.500  0.500  0.000
As  0.104  0.625  0.979
As  0.375  0.354  0.479
As  0.646  0.125  0.021
As  0.875  0.896  0.521

Entry 5:
VASP calculation (PBE) on a geometry-optimized LiScAs structure.

Computed properties:
- Symmetry: No. 216

abc: 4.467 4.467 4.467
angles: 60.00 60.00 60.00
Positions (direct):
Li  0.000  0.000  0.000
Sc  0.250  0.250  0.250
As  0.500  0.500  0.500

Entry 6:
VASP calculation (PBE) on a geometry-optimized LiScAs2 structure.

Computed properties:
- Symmetry: No. 139

abc: 4.845 4.845 4.845
angles: 125.51 125.51 80.70
Positions (direct):
Li  0.000  0.000  0.000
Sc  0.500  0.500  0.000
As  0.250  0.750  0.500
As  0.750  0.250  0.500

Entry 7:
VASP calculation (PBE) on a geometry-optimized LiScAs2 structure.

Computed properties:
- Symmetry: No. 65

abc: 3.189 3.189 7.544
angles: 90.00 90.00 101.66
Positions (direct):
Li  0.000  0.000  0.000
Sc  0.000  0.000  0.500
As  0.500  0.500  0.254
As  0.500  0.500  0.746

Entry 8:
VASP calculation (PBE) on a geometry-optimized Li2ScAs structure.

Computed properties:
- Symmetry: No. 160

abc: 5.248 5.248 5.248
angles: 46.32 46.32 46.32
Positions (direct):
Li  0.000  0.000  0.000
Li  0.280  0.280  0.280
Sc  0.486  0.486  0.486
As  0.701  0.701  0.701

| no. | spin magnetization (Bohr magnetons per cell) | E_form (eV/atom) |
| --- | --- | --- |
| 1 | 0.1 | -0.688 |
| 2 | 0.0 | -0.065 |
| 3 | 1.9 | -0.172 |
| 4 | 0.0 | -0.633 |
| 5 | 0.0 | -0.443 |
| 6 | 0.0 | -0.696 |
| 7 | 0.0 | -0.695 |
| 8 | 0.0 | -0.548 |
-- stop --

[Activity]
Your job: search the calculation results further up for the word "E_form" and quote each line that has it.

[Here it is]
| no. | spin magnetization (Bohr magnetons per cell) | E_form (eV/atom) |